Now duplicate all of the lines underneath verbatim.

********
No. 1
Below is a relaxed structure of LaCoN2, with properties calculated at the PBE-GGA level.

Lattice parameters (Å, degrees): 4.0356 4.0356 15.7274 90.00 90.00 120.00
Last column: nearest neighbours and their distance in Å.
Atoms (fractional coordinates):
1 La 0.0000 0.0000 0.0000  6 N 2.52
2 La 0.3333 0.6667 0.6667  6 N 2.52
3 La 0.6667 0.3333 0.3333  6 N 2.52
4 Co 0.0000 0.0000 0.5000  2 N 1.66
5 Co 0.3333 0.6667 0.1667  2 N 1.66
6 Co 0.6667 0.3333 0.8333  2 N 1.66
7 N 0.0000 0.0000 0.3943  1 Co 1.66
8 N 0.0000 0.0000 0.6057  1 Co 1.66
9 N 0.3333 0.6667 0.0610  1 Co 1.66
10 N 0.3333 0.6667 0.2723  1 Co 1.66
11 N 0.6667 0.3333 0.7277  1 Co 1.66
12 N 0.6667 0.3333 0.9390  1 Co 1.66

Properties
Space-group type: R-3m (166)
Calculated total energy, eV for the cell shown: -89.2
Fermi-level density of states, states/eV/f.u.: 4.31
Crystal system: trigonal
Formation energy without anion corrections, eV per atom: -0.263

***

No. 2
Below is a relaxed structure of CsNiSN2, with properties calculated at the PBE-GGA level.

Lattice parameters (Å, degrees): 4.1957 4.1957 6.7241 90.00 90.00 90.00
Last column: nearest neighbours and their distance in Å.
Atoms (fractional coordinates):
1 Cs 0.0000 0.0000 0.0000  4 N 2.10
2 Ni 0.5000 0.5000 0.5000  4 S 2.97
3 S 0.0000 0.0000 0.5000  4 Ni 2.97
4 N 0.0000 0.5000 0.0000  2 Cs 2.10
5 N 0.5000 0.0000 0.0000  2 Cs 2.10

Properties
Space-group type: P4/mmm (123)
Calculated total energy, eV for the cell shown: -13.5
Fermi-level density of states, states/eV/f.u.: 7.98
Crystal system: tetragonal
Formation energy without anion corrections, eV per atom: 2.791

***

No. 3
Below is a relaxed structure of Ac3Pr3Y4, with properties calculated at the PBE-GGA level.

Lattice parameters (Å, degrees): 3.7836 10.0238 10.0238 89.42 90.00 90.00
Last column: nearest neighbours and their distance in Å.
Atoms (fractional coordinates):
1 Ac 0.0000 0.0000 0.0000  6 Y 3.54-3.64, 2 Ac 3.78
2 Ac 0.5000 0.3268 0.8251  4 Ac 3.78-4.16, 4 Y 3.89-4.10, 6 Pr 4.12-4.19
3 Ac 0.5000 0.8251 0.3268  4 Ac 3.78-4.16, 4 Y 3.89-4.10, 6 Pr 4.12-4.19
4 Pr 0.0000 0.1523 0.5021  6 Y 3.44-3.55, 2 Pr 3.78
5 Pr 0.0000 0.5021 0.1523  6 Y 3.44-3.55, 2 Pr 3.78
6 Pr 0.0000 0.6481 0.6481  6 Y 3.43-3.52, 2 Pr 3.78
7 Y 0.5000 0.2101 0.2101  1 Y 3.38, 4 Pr 3.53, 2 Ac 3.54
8 Y 0.5000 0.4470 0.4470  1 Y 3.38, 6 Pr 3.43-3.55
9 Y 0.5000 0.6968 0.9396  3 Y 3.42-3.78, 4 Pr 3.44-3.52, 2 Ac 3.64
10 Y 0.5000 0.9396 0.6968  3 Y 3.42-3.78, 4 Pr 3.44-3.52, 2 Ac 3.64

Properties
Space-group type: Amm2 (38)
Calculated total energy, eV for the cell shown: -51.7
Formation energy from the elements, eV/atom: 0.084
Fermi-level density of states, states/eV/f.u.: 11.86
Crystal system: orthorhombic

***

No. 4
Below is a relaxed structure of Ca2Zn3Ga4Cu, with properties calculated at the PBE-GGA level.

Lattice parameters (Å, degrees): 4.2354 4.2354 10.7583 90.00 90.00 90.00
Last column: nearest neighbours and their distance in Å.
Atoms (fractional coordinates):
1 Ca 0.0000 0.5000 0.2432  6 Zn 3.25-3.37, 8 Ga 3.25-3.48, 2 Cu 3.37
2 Ca 0.5000 0.0000 0.7568  6 Zn 3.25-3.37, 8 Ga 3.25-3.48, 2 Cu 3.37
3 Zn 0.0000 0.0000 0.0000  4 Ga 2.52
4 Zn 0.0000 0.5000 0.6405  5 Ga 2.51-2.60
5 Zn 0.5000 0.0000 0.3594  5 Ga 2.51-2.60
6 Ga 0.0000 0.0000 0.5000  4 Zn 2.60
7 Ga 0.0000 0.5000 0.8734  3 Zn 2.51-2.52, 2 Cu 2.52
8 Ga 0.5000 0.0000 0.1266  3 Zn 2.51-2.52, 2 Cu 2.52
9 Ga 0.5000 0.5000 0.5000  4 Zn 2.60
10 Cu 0.5000 0.5000 0.0000  4 Ga 2.52

Properties
Space-group type: P-4m2 (115)
Calculated total energy, eV for the cell shown: -27.2
Formation energy from the elements, eV/atom: -0.319
Fermi-level density of states, states/eV/f.u.: 5.52
Crystal system: tetragonal

***

No. 5
Below is a relaxed structure of NdGdGaAg, with properties calculated at the PBE-GGA level.

Lattice parameters (Å, degrees): 7.3811 7.3811 7.3811 90.00 90.00 90.00
Last column: nearest neighbours and their distance in Å.
Atoms (fractional coordinates):
1 Nd 0.0000 0.0000 0.0000  4 Ga 3.20, 4 Ag 3.20
********

No. 1
Below is a relaxed structure of LaCoN2, with properties calculated at the PBE-GGA level.

Lattice parameters (Å, degrees): 4.0356 4.0356 15.7274 90.00 90.00 120.00
Last column: nearest neighbours and their distance in Å.
Atoms (fractional coordinates):
1 La 0.0000 0.0000 0.0000  6 N 2.52
2 La 0.3333 0.6667 0.6667  6 N 2.52
3 La 0.6667 0.3333 0.3333  6 N 2.52
4 Co 0.0000 0.0000 0.5000  2 N 1.66
5 Co 0.3333 0.6667 0.1667  2 N 1.66
6 Co 0.6667 0.3333 0.8333  2 N 1.66
7 N 0.0000 0.0000 0.3943  1 Co 1.66
8 N 0.0000 0.0000 0.6057  1 Co 1.66
9 N 0.3333 0.6667 0.0610  1 Co 1.66
10 N 0.3333 0.6667 0.2723  1 Co 1.66
11 N 0.6667 0.3333 0.7277  1 Co 1.66
12 N 0.6667 0.3333 0.9390  1 Co 1.66

Properties
Space-group type: R-3m (166)
Calculated total energy, eV for the cell shown: -89.2
Fermi-level density of states, states/eV/f.u.: 4.31
Crystal system: trigonal
Formation energy without anion corrections, eV per atom: -0.263

***

No. 2
Below is a relaxed structure of CsNiSN2, with properties calculated at the PBE-GGA level.

Lattice parameters (Å, degrees): 4.1957 4.1957 6.7241 90.00 90.00 90.00
Last column: nearest neighbours and their distance in Å.
Atoms (fractional coordinates):
1 Cs 0.0000 0.0000 0.0000  4 N 2.10
2 Ni 0.5000 0.5000 0.5000  4 S 2.97
3 S 0.0000 0.0000 0.5000  4 Ni 2.97
4 N 0.0000 0.5000 0.0000  2 Cs 2.10
5 N 0.5000 0.0000 0.0000  2 Cs 2.10

Properties
Space-group type: P4/mmm (123)
Calculated total energy, eV for the cell shown: -13.5
Fermi-level density of states, states/eV/f.u.: 7.98
Crystal system: tetragonal
Formation energy without anion corrections, eV per atom: 2.791

***

No. 3
Below is a relaxed structure of Ac3Pr3Y4, with properties calculated at the PBE-GGA level.

Lattice parameters (Å, degrees): 3.7836 10.0238 10.0238 89.42 90.00 90.00
Last column: nearest neighbours and their distance in Å.
Atoms (fractional coordinates):
1 Ac 0.0000 0.0000 0.0000  6 Y 3.54-3.64, 2 Ac 3.78
2 Ac 0.5000 0.3268 0.8251  4 Ac 3.78-4.16, 4 Y 3.89-4.10, 6 Pr 4.12-4.19
3 Ac 0.5000 0.8251 0.3268  4 Ac 3.78-4.16, 4 Y 3.89-4.10, 6 Pr 4.12-4.19
4 Pr 0.0000 0.1523 0.5021  6 Y 3.44-3.55, 2 Pr 3.78
5 Pr 0.0000 0.5021 0.1523  6 Y 3.44-3.55, 2 Pr 3.78
6 Pr 0.0000 0.6481 0.6481  6 Y 3.43-3.52, 2 Pr 3.78
7 Y 0.5000 0.2101 0.2101  1 Y 3.38, 4 Pr 3.53, 2 Ac 3.54
8 Y 0.5000 0.4470 0.4470  1 Y 3.38, 6 Pr 3.43-3.55
9 Y 0.5000 0.6968 0.9396  3 Y 3.42-3.78, 4 Pr 3.44-3.52, 2 Ac 3.64
10 Y 0.5000 0.9396 0.6968  3 Y 3.42-3.78, 4 Pr 3.44-3.52, 2 Ac 3.64

Properties
Space-group type: Amm2 (38)
Calculated total energy, eV for the cell shown: -51.7
Formation energy from the elements, eV/atom: 0.084
Fermi-level density of states, states/eV/f.u.: 11.86
Crystal system: orthorhombic

***

No. 4
Below is a relaxed structure of Ca2Zn3Ga4Cu, with properties calculated at the PBE-GGA level.

Lattice parameters (Å, degrees): 4.2354 4.2354 10.7583 90.00 90.00 90.00
Last column: nearest neighbours and their distance in Å.
Atoms (fractional coordinates):
1 Ca 0.0000 0.5000 0.2432  6 Zn 3.25-3.37, 8 Ga 3.25-3.48, 2 Cu 3.37
2 Ca 0.5000 0.0000 0.7568  6 Zn 3.25-3.37, 8 Ga 3.25-3.48, 2 Cu 3.37
3 Zn 0.0000 0.0000 0.0000  4 Ga 2.52
4 Zn 0.0000 0.5000 0.6405  5 Ga 2.51-2.60
5 Zn 0.5000 0.0000 0.3594  5 Ga 2.51-2.60
6 Ga 0.0000 0.0000 0.5000  4 Zn 2.60
7 Ga 0.0000 0.5000 0.8734  3 Zn 2.51-2.52, 2 Cu 2.52
8 Ga 0.5000 0.0000 0.1266  3 Zn 2.51-2.52, 2 Cu 2.52
9 Ga 0.5000 0.5000 0.5000  4 Zn 2.60
10 Cu 0.5000 0.5000 0.0000  4 Ga 2.52

Properties
Space-group type: P-4m2 (115)
Calculated total energy, eV for the cell shown: -27.2
Formation energy from the elements, eV/atom: -0.319
Fermi-level density of states, states/eV/f.u.: 5.52
Crystal system: tetragonal

***

No. 5
Below is a relaxed structure of NdGdGaAg, with properties calculated at the PBE-GGA level.

Lattice parameters (Å, degrees): 7.3811 7.3811 7.3811 90.00 90.00 90.00
Last column: nearest neighbours and their distance in Å.
Atoms (fractional coordinates):
1 Nd 0.0000 0.0000 0.0000  4 Ga 3.20, 4 Ag 3.20